_Exercise_
Could you say how many lines of the rows further below hold the word "type", as a bare number?

_Excerpt_
********
[1]
{"formula": "HfTi2HgC", "functional": "PBE", "state": "relaxed", "lattice": [[4.2574, 0.0000, 0.0000], [0.0000, 4.2574, 0.0000], [0.0000, 0.0000, 4.4770]], "species": ["Hf", "Ti", "Ti", "Hg", "C"], "fractional_positions": [[0.0000, 0.0000, 0.0000], [0.0000, 0.5000, 0.5000], [0.5000, 0.0000, 0.5000], [0.5000, 0.5000, 0.0000], [0.0000, 0.0000, 0.5000]], "formation_enthalpy_0k_kj_per_mol_fu": -230}

=====

[2]
{"formula": "IrC3", "functional": "PBE", "state": "relaxed", "lattice": [[4.1036, 0.0000, 0.0000], [-2.0518, 3.5538, 0.0000], [0.0000, 0.0000, 9.1631]], "species": ["Ir", "Ir", "C", "C", "C", "C", "C", "C"], "fractional_positions": [[0.3333, 0.6667, 0.2500], [0.6667, 0.3333, 0.7500], [0.2149, 0.4298, 0.7500], [0.2149, 0.7851, 0.7500], [0.4298, 0.2149, 0.2500], [0.5702, 0.7851, 0.7500], [0.7851, 0.2149, 0.2500], [0.7851, 0.5702, 0.2500]], "formation_enthalpy_0k_kj_per_mol_fu": 683, "polymorph_energy_mev_per_atom": 1053}

=====

[3]
{"formula": "SrCrIn4", "functional": "PBE", "state": "relaxed", "lattice": [[0.0000, 4.3336, 4.3336], [4.3336, 0.0000, 4.3336], [4.3336, 4.3336, 0.0000]], "species": ["Sr", "Cr", "In", "In", "In", "In"], "fractional_positions": [[0.0000, 0.0000, 0.0000], [0.7500, 0.7500, 0.7500], [0.3754, 0.3754, 0.3754], [0.3754, 0.3754, 0.8737], [0.3754, 0.8737, 0.3754], [0.8737, 0.3754, 0.3754]], "formation_enthalpy_0k_kj_per_mol_fu": 80}

=====

[4]
{"formula": "YHBr", "functional": "PBE", "state": "relaxed", "lattice": [[3.7201, 0.0000, 0.0000], [0.0000, 3.8026, 0.0000], [0.0000, 0.0000, 9.9929]], "species": ["Y", "Y", "H", "H", "Br", "Br"], "fractional_positions": [[0.2500, 0.2500, 0.1255], [0.7500, 0.7500, 0.8745], [0.2500, 0.7500, 0.0072], [0.7500, 0.2500, 0.9928], [0.2500, 0.7500, 0.6653], [0.7500, 0.2500, 0.3347]]}

=====

no.,calculated density (g/cm3),D(E_F) (states/eV/f.u.),DFT total energy (eV/atom)
1,9.962,3.9,-7.53
2,5.673,0.3,-7.36
3,6.109,3.3,-3.57
4,3.990,1.1,-4.88

* * * * *

Model a:
TbPrSmTh: relaxed, PBE.

The structure in CIF format:
```
data_TbPrSmTh
_chemical_formula_sum 'Tb1 Pr1 Sm1 Th1'
_cell_length_a 5.7471
_cell_length_b 5.7471
_cell_length_c 5.7471
_cell_angle_alpha 60.00
_cell_angle_beta 60.00
_cell_angle_gamma 60.00
_space_group_name_H-M_alt 'P 1'
_space_group_IT_number 1
loop_
_space_group_symop_operation_xyz
'x,y,z'
loop_
_atom_site_label
_atom_site_type_symbol
_atom_site_fract_x
_atom_site_fract_y
_atom_site_fract_z
_atom_site_occupancy
Tb1 Tb 0.0000 0.0000 0.0000 1
Pr1 Pr 0.7500 0.7500 0.7500 1
Sm1 Sm 0.5000 0.5000 0.5000 1
Th1 Th 0.2500 0.2500 0.2500 1
```

Calculated values
- space-group type = F-43m, No. 216


Model b:
TbPrSmTh: relaxed, PBE.

The structure in CIF format:
```
data_TbPrSmTh
_chemical_formula_sum 'Tb1 Pr1 Sm1 Th1'
_cell_length_a 3.6130
_cell_length_b 3.6130
_cell_length_c 10.2919
_cell_angle_alpha 90.00
_cell_angle_beta 90.00
_cell_angle_gamma 90.00
_space_group_name_H-M_alt 'P 1'
_space_group_IT_number 1
loop_
_space_group_symop_operation_xyz
'x,y,z'
loop_
_atom_site_label
_atom_site_type_symbol
_atom_site_fract_x
_atom_site_fract_y
_atom_site_fract_z
_atom_site_occupancy
Tb1 Tb 0.0000 0.0000 0.0000 1
Pr1 Pr 0.5000 0.5000 0.7407 1
Sm1 Sm 0.0000 0.0000 0.4753 1
Th1 Th 0.5000 0.5000 0.2359 1
```

Calculated values
- space-group type = P4mm, No. 99


Stability, lowest: model a


Model a:
TbPrSmTl: relaxed, PBE.

The structure in CIF format:
```
data_TbPrSmTl
_chemical_formula_sum 'Tb1 Pr1 Sm1 Tl1'
_cell_length_a 4.8946
_cell_length_b 4.9431
_cell_length_c 5.0088
_cell_angle_alpha 90.00
_cell_angle_beta 90.00
_cell_angle_gamma 90.00
_space_group_name_H-M_alt 'P 1'
_space_group_IT_number 1
loop_
_space_group_symop_operation_xyz
'x,y,z'
loop_
_atom_site_label
_atom_site_type_symbol
_atom_site_fract_x
_atom_site_fract_y
_atom_site_fract_z
_atom_site_occupancy
Tb1 Tb 0.0000 0.0000 0.0000 1
Pr1 Pr 0.5000 0.0000 0.5000 1
Sm1 Sm 0.0000 0.5000 0.5000 1
Tl1 Tl 0.5000 0.5000 0.0000 1
```

Calculated values
- space-group type = Pmmm, No. 47


Model b:
********

_Result_
3